(The following essay comes from the Rev. Wendy Mohler Seib, a PhD candidate in practical theology and Director of Faith Formation for Youth and Young Adults at the Institute for Discipleship at Southwestern College. The American church needs to re-think its approach to ministry with youth, college students, and other emerging adults. Wendy is a leader in helping us to do this work. Her post is a review of an important book by Andrew Root.)
According to Andrew Root, “Youth ministry exists for joy.” His latest book, The End of Youth Ministry? Why Parents Don’t Really Care about Youth Groups and What Youth Workers Should Do about It follows Root’s quest to finish the sentence, “Youth ministry exists for ____.” Root addresses the prioritization of youth ministry in competition with extracurricular activities consuming middle class youth and identifies the gulf between the priorities of parents and youth workers.
In his book, Root thoroughly dissects the history and cultural influences shaping the parental pursuit of happiness for their children. Using interviews, philosophy,[1] and sociology,[2] Root explains shifts in youth ministry from the 1980’s to the present. He demonstrates the effects of these cultural shifts on parental perceptions of the role of youth ministry. Root’s work gently and poignantly exposes “our misguided conception of a good life – namely, the need for recognized identity and the goal of happiness.”[3] Root contends parents push children to find a passion or “thing” (i.e. hockey, soccer, piano, theatre, etc.) as a means of identity formation without critically reflecting on criteria to establish what is “good.”
Root invites the reader to eavesdrop on his conversations and experiences with J and Lorena, a youth pastor and youth. By chronicling J and Lorena’s story, Root awakens the reader’s imagination to a ministry rooted in joy. When Lorena’s life was on the line, the hospital waiting room became the fertile ground for J’s local youth ministry to move from fun and games to a ministry of joy and friendship. Through a philosophical lens, Root analyzes the qualities of the good life and challenges modern notions of “good,” drawing the reader to historical moments when holiness and virtue constituted a good life. His thorough descriptions are an invitation to evaluate life choices that substitute happiness for joy. Intergenerational story-telling transformed J’s youth ministry, and Root explains how this communal practice gives youth the ability to discern between happiness based on goods and joy found in the highest good.
Root is convincing! He points to the Triune God as the greatest good and beseeches youth ministries to embody life together in community where joy is birthed when friends share in the suffering and glory of Christ. Root debunks the notion of numbers, programs, emotional responses, or sin management as fruitful youth ministry by prophetically calling youth workers to focus on the cross. He describes the changing context of youth ministry and offers a refreshing aim for youth workers – joy, Christian joy, rooted in the person of Jesus Christ and discovered in authentic community.
In 2011, I sat by Andy in downtown Louisville, Kentucky, where we attended the Association of Youth Ministry Educators gathering and went to eat with mutual seminary friends. Prior to AYME, I read his book, The Promise of Despair: The Way of the Cross as the Way of the Church. While star struck in Andy’s presence, one critique of his book lingered. I wanted an answer, “What about joy?” Andy was humble and kind as he listened to me make my case for joy. I don’t remember Andy’s exact words, I remember the sentiment of the conversation being something like, “Yeah…about joy…” (voice trailing off as we returned to discussing despair and suffering). He invited me to press in during times of suffering. He reminded me not to run too quickly to the resurrection without walking through Good Friday and Holy Saturday. He caught my attention. He urged me to encounter aspects of God’s character less known to me. And yet, I left unsatisfied. His response failed to address my uncertainties about joy amid suffering.
This book answered my questions about joy without compromising the invitation, and even necessity, to enter suffering. Root reminds us, as Paul reminds the Philippians, joy is birthed in suffering, which means the joy is not happiness based on subjective or circumstantial criteria. Joy is not recognition, passion for a “thing.” Joy cannot be acquired through the consumption of products or by avoiding negativity. A youth ministry established in joy invites young people into the complete gospel story whereby the living God invites Christ followers into friendship with the Triune God and one another. It is here where joy, not happiness, abounds.
(Crystal structures, kept here for reference)
........
1.
SrZn (GGA-PBEsol, optimized geometry); symmetry = P-3m1; uncorrected energy = -1.67 eV per atom; energy of formation = 0.042 eV per atom; V = 33.66 Å³ per atom
1.0
4.159 0.000 0.000
-2.080 3.602 0.000
0.000 0.000 8.988
Zn Sr
2 2
Direct
0.667 0.333 0.448 Zn
0.333 0.667 0.552 Zn
0.667 0.333 0.803 Sr
0.333 0.667 0.197 Sr



2.
SrZn (GGA-PBEsol, optimized geometry); symmetry = Pnma; uncorrected energy = -1.88 eV per atom; energy of formation = -0.166 eV per atom; V = 30.04 Å³ per atom
1.0
-2.746 -3.031 -1.966
0.132 -3.442 5.120
-6.832 4.231 3.020
Zn Sr
4 4
Direct
0.750 0.093 0.525 Zn
0.250 0.593 0.975 Zn
0.750 0.407 0.025 Zn
0.250 0.907 0.475 Zn
0.250 0.111 0.822 Sr
0.750 0.889 0.178 Sr
0.750 0.611 0.678 Sr
0.250 0.389 0.322 Sr



3.
SrZr3Zn (GGA-PBEsol, optimized geometry); symmetry = Pm-3m; uncorrected energy = -4.28 eV per atom; energy of formation = 1.860 eV per atom; V = 25.19 Å³ per atom
1.0
-0.917 2.383 -4.314
-4.756 -1.577 0.140
-1.291 4.119 2.549
Zr Zn Sr
3 1 1
Direct
0.000 0.500 0.000 Zr
0.500 0.000 0.000 Zr
0.000 0.000 0.500 Zr
0.500 0.500 0.500 Zn
0.000 0.000 0.000 Sr



4.
SrZr3 (GGA-PBEsol, optimized geometry); symmetry = Pm-3m; uncorrected energy = -4.53 eV per atom; energy of formation = 2.750 eV per atom; V = 34.86 Å³ per atom
1.0
5.186 0.000 0.000
0.000 5.186 0.000
0.000 0.000 5.186
Zr Sr
3 1
Direct
0.000 0.500 0.000 Zr
0.500 0.000 0.000 Zr
0.000 0.000 0.500 Zr
0.000 0.000 0.000 Sr



5.
SrZr2 (GGA-PBEsol, optimized geometry); symmetry = P-3m1; uncorrected energy = -6.09 eV per atom; energy of formation = 0.582 eV per atom; energy relative to the lowest polymorph listed for this composition = 130 meV per atom; V = 26.06 Å³ per atom
1.0
-2.751 0.250 1.096
-2.059 -0.287 -5.104
0.749 -4.606 2.933
Zr Sr
2 1
Direct
0.720 0.333 0.667 Zr
0.280 0.667 0.333 Zr
0.000 0.000 0.000 Sr



6.
SrZr (GGA-PBEsol, optimized geometry); symmetry = Pmmn; uncorrected energy = -5.00 eV per atom; energy of formation = 0.460 eV per atom; energy relative to the lowest polymorph listed for this composition = 109 meV per atom; V = 33.52 Å³ per atom
1.0
3.334 0.000 0.000
0.000 4.555 0.000
0.000 0.000 8.827
Sr Zr
2 2
Direct
0.000 0.000 0.673 Sr
0.500 0.500 0.327 Sr
0.500 0.000 0.053 Zr
0.000 0.500 0.947 Zr

* * * * *

Sr4GeSeI2: optimized geometry, PBE.

Output
Uncorrected formation energy: -10.97 eV per formula unit
Magnetization: 0.0 μB per formula unit
Raw total energy: -28.9 eV per cell
DOS at the Fermi energy: 0.07 states/eV/atom

Cell: 8.040 4.673 8.403 Å, 90.00 108.75 90.00°
Space group P2/m (No. 10)
One atom of each set of equivalent atoms:
Sr 0.222 0.000 0.201 [2 per cell]
Sr 0.254 0.500 0.801 [2 per cell]
Ge 0.000 0.500 0.000 [1 per cell]
Se 0.500 0.000 0.000 [1 per cell]
I 0.000 0.000 0.500 [1 per cell]
I 0.500 0.500 0.500 [1 per cell]



TaGeSe2I: optimized geometry, PBE.

Output
Uncorrected formation energy: 1.15 eV per formula unit
Magnetization: 1.3 μB per formula unit
Raw total energy: -23.8 eV per cell
........
In my estimation, Root’s book comes in the providential timing of God. This spring, my Adolescent Spirituality class read about identity formation from various authors. Over spring break, our lives were completely and utterly disrupted by COVID-19. When we reconvened online, we read Twenge’s book about iGen as people around the globe suffered and died. We discussed our pain, questions, disappointments, and losses. We wrestled through Christian ethics, and predicted ways COVID-19 may shift the attitudes and behaviors of iGen. We raised our laments through Lent and proclaimed Resurrection in the face of a pandemic.
Young people know suffering and loss. They knew it before COVID-19, but the pandemic has seriously altered their lives. They’ve lost loved ones, their parents have lost jobs, some have gone hungry, they’ve missed major life milestones. Beyond the mental health crisis already facing this generation,[4] the isolation, fear, anxiety, depression, and grief have been compounded. The future is uncertain. Young people yearn for peace, hope, and joy. Now is the time to read Root’s book, reflect on the good life, examine our ministry practices and priorities, and enter the “waiting room.” In the face of widespread suffering, may “joy in friendship and rejoicing in the [aim, focus, or highest good] be what youth ministry is for.”[5]
[1] Throughout the book, Root draws heavily on the philosophy of Charles Taylor.
[2] See Jean Twenge’s book iGen: Why Today’s Super-Connected Kids are Growing Up Less Rebellious, More Tolerant, Less Happy-and Completely Unprepared for Adulthood (New York: Atria Books, 2017).
[3] Andrew Root. Why Parents Don’t Really Care about Youth Groups and What Youth Workers Should Do about It (Grand Rapids: Baker Academic, 2020), Kindle edition, xiii.
[4] Jean Twenge, iGen: Why Today’s Super-Connected Kids are Growing Up Less Rebellious, More Tolerant, Less Happy-and Completely Unprepared for Adulthood (New York: Atria Books, 2017), Kindle edition, 74.
[5] Andrew Root, The End of Youth Ministry?, Kindle edition, 225.